View Full Version : [SOLVED:] Extracting groups of Options button

01-25-2019, 09:29 AM
I am looking for ideas as to how best to extract the state of groups of Options button. I will be creating 30 groups of options button with 3 in each group on a sheet. What is the best way to get the state of each group? I have this preliminary sheet that I started. Hopefully, there is an easy way. Thanks.

== Next to the piece, the page also holds molecular data ==
........
[1]
{"formula": "C5H6", "method": "ωB97M-V/def2-TZVPD", "elements": ["C", "C", "C", "C", "C", "H", "H", "H", "H", "H", "H"], "positions_angstrom": [[-2.537, -0.281, -0.025], [-1.612, 0.592, -0.055], [-0.164, 0.205, -0.299], [1.003, 0.065, -0.131], [2.442, 0.045, 0.050], [-3.610, -0.391, 0.142], [-2.193, -1.326, 0.059], [-2.064, 1.544, 0.237], [2.882, -0.758, 0.715], [2.694, -0.661, -0.821], [3.158, 0.966, 0.129]], "lowdin_charge": [-0.06, -0.20, -0.01, -0.13, -0.13, 0.07, 0.07, 0.10, 0.08, 0.09, 0.11], "total_energy_ha": -193.96452, "homo_energy_ev": -9.0425, "lumo_ev": 1.0, "smiles": "C=CC#CC", "spin_multiplicity": 1}

[2]
{"formula": "C8H10F2O6V", "method": "ωB97M-V/def2-TZVPD", "elements": ["V", "F", "F", "C", "C", "C", "O", "C", "C", "C", "O", "O", "O", "H", "H", "C", "O", "H", "H", "H", "H", "C", "O", "H", "H", "H", "H"], "positions_angstrom": [[0.281, 1.076, 1.495], [0.366, 0.029, 3.221], [-1.355, 0.006, 0.805], [3.480, -0.240, -0.770], [2.131, 0.037, -0.411], [1.536, 1.355, -1.050], [0.549, 1.771, -0.410], [2.371, 2.169, -1.944], [3.610, 1.810, -2.179], [4.186, 0.525, -1.623], [5.474, 0.296, -1.605], [4.401, 2.606, -2.833], [1.629, -0.337, 0.596], [3.950, -1.093, -0.304], [1.988, 3.143, -2.212], [-2.542, -1.688, -2.158], [-1.349, -0.964, -1.878], [-3.369, -0.986, -2.041], [-2.682, -2.035, -3.182], [-2.729, -2.498, -1.454], [-1.472, -0.606, -0.996], [-3.559, -0.675, 3.793], [-3.158, -1.464, 2.703], [-3.425, -1.151, 4.764], [-3.061, 0.290, 3.883], [-4.617, -0.429, 3.703], [-2.635, -0.948, 2.085]], "lowdin_charge": [1.05, -0.61, -0.51, 0.11, -0.29, -0.24, -0.11, 0.04, -0.39, -0.28, 0.07, -0.01, 0.07, 0.14, 0.13, -0.18, -0.14, 0.07, 0.07, 0.07, 0.01, -0.19, -0.12, 0.07, 0.07, 0.06, 0.03], "s_squared": 6.0825, "total_charge": -1, "total_energy_ha": -1906.02204, "homo_energy_ev": [-4.9621, -5.8453], "lumo_ev": [1.5, -0.4], "spin_multiplicity": 5}

[3]
........

01-25-2019, 10:08 AM

Sub CollectOptionButtonValues()
Dim OpGroups As Collection
Dim Sh As Shape, Ws As Worksheet, o As Object
Dim GroupName As String, GroupValue As String

## The entry is interrupted by quantum chemistry results
+++
# 1
Here is C24H36Cl5N2SSi4Tl as an isolated structure at a distorted geometry from the Open Molecules 2025 dataset. Energies are from ωB97M-V with the def2-TZVPD basis set.

- spin multiplicity = 1
- total energy (eV) = -138105.654
- E_HOMO (eV) = -0.95
- frontier orbital gap (eV) = 4.53
- charge = -2

Each line ends with the Löwdin charge.
Cartesian coordinates (Å):
Tl: -0.141 -3.169 -0.096  0.7701
C: 1.200 -3.427 2.333  -0.2577
C: 1.847 -2.299 1.785  -0.2458
C: 2.696 -2.744 0.750  -0.2553
C: 2.576 -4.141 0.655  -0.2699
C: 1.642 -4.570 1.624  -0.2631
H: 0.580 -3.437 3.219  0.0844
H: 1.763 -1.281 2.132  0.0693
H: 3.368 -2.119 0.177  0.0737
H: 3.115 -4.789 -0.025  0.0653
H: 1.400 -5.598 1.857  0.0781
Cl: -2.308 -0.664 0.435  0.6000
C: -3.264 -2.064 0.875  -0.7133
C: -2.629 -3.290 1.086  -0.2553
C: -3.494 -4.323 1.420  -0.7325
Cl: -2.803 -5.901 1.705  0.5947
C: -4.873 -4.185 1.555  -0.7178
Cl: -5.886 -5.523 2.009  0.5985
C: -5.455 -2.944 1.320  -0.7254
Cl: -7.169 -2.740 1.443  0.6126
C: -4.641 -1.872 0.970  -0.7154
Cl: -5.360 -0.328 0.644  0.6253
S: -0.193 -6.234 -1.657  0.5713
C: -0.072 -5.042 -2.805  -0.9662
N: 1.202 -4.734 -3.281  0.0602
C: 1.421 -3.744 -4.167  -0.0716
C: 0.360 -3.047 -4.654  -0.0579
C: -0.909 -3.374 -4.142  -0.1169
N: -1.118 -4.325 -3.265  0.0607
H: 1.963 -5.198 -2.807  0.1273
H: 2.446 -3.552 -4.448  0.1281
H: 0.497 -2.254 -5.373  0.0987
H: -1.791 -2.823 -4.450  0.1161
C: 3.315 1.966 -1.728  -0.2522
Si: 2.641 2.649 -0.074  0.2645
C: 2.960 4.541 -0.211  -0.2414
C: 3.893 2.082 1.246  -0.2445
Si: 0.495 1.847 0.322  0.3327
Si: -0.813 2.823 -1.339  0.2653
C: -2.691 2.534 -1.178  -0.2499
C: -0.713 4.717 -1.662  -0.2458
C: -0.334 2.061 -3.025  -0.2490
Si: -0.129 2.569 2.446  0.2656
C: 0.080 4.425 2.910  -0.2488
C: -1.957 2.201 2.831  -0.2443
C: 0.866 1.651 3.787  -0.2389
H: 4.406 1.888 -1.738  0.0086
H: 3.015 2.596 -2.570  0.0032
H: 2.907 0.968 -1.906  0.0090
H: 3.981 4.792 -0.521  0.0086
H: 2.766 5.031 0.747  0.0026
H: 2.275 4.983 -0.938  -0.0142
H: 4.919 2.382 1.013  0.0123
H: 3.870 0.993 1.340  0.0161
H: 3.637 2.497 2.225  0.0000
H: -3.033 2.767 -0.167  -0.0015
H: -2.941 1.488 -1.364  -0.0138
H: -3.266 3.150 -1.876  0.0147
H: -1.119 5.268 -0.809  0.0097
H: -1.257 5.032 -2.560  0.0077
H: 0.329 5.026 -1.778  -0.0157
H: -0.301 0.971 -2.947  0.0100
H: 0.661 2.395 -3.331  -0.0005
H: -1.037 2.322 -3.823  0.0116
H: -0.567 5.046 2.286  0.0059
H: 1.111 4.744 2.734  -0.0032
H: -0.161 4.632 3.959  0.0059
H: -2.604 2.569 2.032  -0.0030
H: -2.290 2.653 3.770  0.0150
H: -2.116 1.123 2.902  0.0018
H: 1.939 1.817 3.661  -0.0018
H: 0.697 0.574 3.712  0.0127
H: 0.595 1.963 4.800  0.0144

=====

# 2
Here is C24H36ClF6N6O6S2Zn as an isolated structure at a distorted geometry from the Open Molecules 2025 dataset. Energies are from ωB97M-V with the def2-TZVPD basis set.

- spin multiplicity = 1
- total energy (eV) = -145608.384
- E_HOMO (eV) = -10.48
- frontier orbital gap (eV) = 7.88
+++

Set Ws = ActiveSheet
Set OpGroups = New Collection
For Each Sh In Ws.Shapes
Set o = Nothing
On Error Resume Next
Set o = Sh.OLEFormat.Object.Object
On Error GoTo 0
If Not o Is Nothing Then
If LCase(TypeName(o)) = "optionbutton" Then
If o.Value = True Then
GroupName = o.GroupName
Select Case Sh.TopLeftCell.Column
Case 4
GroupValue = "Satisfactory"
Case 5
GroupValue = "Requires Action"
Case 6
GroupValue = "Not Applicable"
End Select
OpGroups.Add GroupValue, GroupName
End If
End If
End If

Debug.Print OpGroups("ERP")
Debug.Print OpGroups("Signage1")
Debug.Print OpGroups("Signage2")
Debug.Print OpGroups("Signage3")
End Sub

01-25-2019, 01:24 PM
Thanks Jimmy, this really helps! One question, with the collection, I was trying to get the KEY, so I can get the group name (without what you did at the bottom by entering it). The way I am doing it without the key is that I also put the GroupName into the GroupValue.

01-25-2019, 01:44 PM
It all depends on how you want to use the values. I thought the group names are fixed, and each one of them is used for a unique, specific purpose.
But anyway, if you want to have the group names at hand, I would collect them in an array:

Sub CollectOptionButtonValues()
Dim OpGroups As Collection
Dim Sh As Shape, Ws As Worksheet, o As Object
Dim GroupName As String, GroupValue As String
Dim GroupNames As String, arrGN
Dim i As Long

Set Ws = ActiveSheet
Set OpGroups = New Collection
For Each Sh In Ws.Shapes
Set o = Nothing
On Error Resume Next
Set o = Sh.OLEFormat.Object.Object
On Error GoTo 0
If Not o Is Nothing Then
If LCase(TypeName(o)) = "optionbutton" Then
If o.Value = True Then
GroupName = o.GroupName
Select Case Sh.TopLeftCell.Column
Case 4
GroupValue = "Satisfactory"
Case 5
GroupValue = "Requires Action"
Case 6
GroupValue = "Not Applicable"
End Select
OpGroups.Add GroupValue, GroupName
GroupNames = GroupNames & "," & GroupName
End If
End If
End If
GroupNames = Mid(GroupNames, 2)
arrGN = Split(GroupNames, ",")

For i = LBound(arrGN) To UBound(arrGN)
Debug.Print arrGN(i) & " - " & OpGroups(arrGN(i))
End Sub

01-26-2019, 07:30 AM
Thanks again, Jimmy.
Yes, the group names are fixed. I just did not want to type all of them in. I did something similar to what you did by concatenating the Group Name into the GroupValue. I thought that I could access the KEY directly, I just was not able to, so I asked that question.

01-26-2019, 11:48 AM
You're welcome. Sorry if I didn't understand your question (because there was no question mark :devil2:), but anyway I 'm glad you found the solution :)